The Animals in the Amazing Doñana National Park

-- begin --
1.
Compound: HfAu3
Source: Materials Project
Functional: r2SCAN
Structure: relaxed

For the total energy, the calculation gives -49.752 eV/atom.

abc: 4.8352 4.9121 6.0295
angles: 90.00 90.00 90.00
Last column: nearest neighbours and their distance in Å.
Positions (direct):
Au  0.2500  0.6541  0.7500  8 Au 2.84-2.99, 4 Hf 2.87-3.01
Au  0.2500  0.1632  0.5019  8 Au 2.84-3.04, 4 Hf 2.87-2.97
Au  0.7500  0.8368  0.4981  8 Au 2.84-3.04, 4 Hf 2.87-2.97
Au  0.7500  0.8368  0.0019  8 Au 2.84-3.04, 4 Hf 2.87-2.97
Au  0.2500  0.1632  0.9981  8 Au 2.84-3.04, 4 Hf 2.87-2.97
Au  0.7500  0.3459  0.2500  8 Au 2.84-2.99, 4 Hf 2.87-3.01
Hf  0.7500  0.3403  0.7500  12 Au 2.87-3.01
Hf  0.2500  0.6597  0.2500  12 Au 2.87-3.01

---

2.
Compound: HfAu2
Source: Materials Project
Functional: r2SCAN
Structure: relaxed

For the total energy, the calculation gives -49.390 eV/atom.

abc: 3.5457 3.5457 5.0270
angles: 110.66 110.66 90.00
Last column: nearest neighbours and their distance in Å.
Positions (direct):
Hf  0.0000  0.0000  0.0000  10 Au 2.90
Au  0.6672  0.6672  0.3347  5 Au 2.89-2.92, 5 Hf 2.90
Au  0.3328  0.3328  0.6653  5 Au 2.89-2.92, 5 Hf 2.90


# Cu7Hg6 | Materials Project | PBE | optimized geometry
# **VASP energy**: -2.001 eV per atom
# **Polymorph energy (0 for the lowest one)**: 0.2068 eV per atom
# **Formation energy from the elements**: 33 kJ per mole of atoms
# **Magnetic moment**: 0.000 μB/atom
data_Cu7Hg6
_symmetry_space_group_name_H-M 'R 3 m'
_symmetry_Int_Tables_number 160
_symmetry_space_group_name_Hall 'R 3 -2"'
_cell_length_a 12.6449
_cell_length_b 12.6449
_cell_length_c 15.4266
_cell_angle_alpha 90.00
-- stop --

Written and verified by the lawyer Francisco María García
Doñana National Park is a huge protected natural area of beauty in Andalusia, Spain, covering more than 116,000 hectares.
Currently, it’s considered one of the most important natural reserves in Europe. This is due to the diverse flora and fauna that is spread throughout the park, including numerous species in danger of extinction. In this article, we invite you to discover its fauna and just what makes this place so special and important for environmental conservation in Europe.
Ecosystems and climate in Doñana Natural Park
There are three main ecosystems among the enchanting landscapes of Doñana: the Mediterranean scrub, with sandy soils and some floodplains, the marsh and the pine forests.
The Mediterranean climate is the predominant one. It’s characterized by dry summers and relatively wet winters. However, the rainy seasons are mainly in the spring and autumn.
The park’s temperatures are mild throughout the year, averaging 17 C. In the summer, the maximum temperatures can reach 85 degrees Fahrenheit, while the minimum temperatures in winter are rarely below 45 degrees.
Birds: the main protagonists of Doñana’s fauna
The fauna in Doñana’s National Park is mainly characterized by the great biodiversity in the bird population. In fact, there are more than 360 species of birds that live permanently or transiently in the park. Among them, about 125 species reproduce habitually in their ecosystems.

**Crystal structures that have nothing to do with the article**
'''
A plane-wave DFT calculation with PBE-GGA was carried out for an optimized crystal structure of Li3BiF6.

Values from the calculation:
Total energy after the MP2020 corrections = -0.3662 Ry per atom
Magnetic moment = 0.0 μB per formula unit
Space group = P-1, No. 2
ρ = 3.953 g cm⁻³

Unit cell a=4.908 b=5.394 c=5.869 alpha=76.96 beta=72.87 gamma=83.10
Fractional positions:
Li 0.000 0.000 0.000
Li 0.000 0.500 0.000
Li 0.500 0.000 0.000
Bi 0.500 0.000 0.500
F 0.185 0.030 0.271
F 0.274 0.257 0.776
F 0.292 0.749 0.878
F 0.708 0.251 0.122
F 0.726 0.743 0.224
F 0.815 0.970 0.729


A relaxed Ni43Ge3B12 crystal, computed with PBE.

Values from the calculation:
Electronic total energy   -357.70 eV per cell
Total magnetization   0.016 μB/atom
ΔE_f   -0.261 eV/atom
Space group   No. 160

The structure in POSCAR format:
```
Ni43Ge3B12
1.0
12.271 -3.699 0.000
12.271 3.699 0.000
11.155 0.000 6.310
Ni B Ge
43 12 3
Direct
0.690 0.690 0.690 Ni
0.045 0.573 0.573 Ni
0.500 0.163 0.837 Ni
0.662 0.002 0.337 Ni
0.809 0.809 0.809 Ni
0.309 0.309 0.309 Ni
0.573 0.573 0.045 Ni
0.191 0.191 0.191 Ni
0.169 0.829 0.169 Ni
0.429 0.429 0.952 Ni
0.072 0.547 0.072 Ni
0.337 0.002 0.662 Ni
0.832 0.832 0.168 Ni
0.163 0.837 0.500 Ni
0.000 0.000 0.000 Ni
0.332 0.332 0.666 Ni
0.332 0.666 0.332 Ni
0.929 0.452 0.929 Ni
0.929 0.929 0.452 Ni
0.375 0.375 0.375 Ni
0.169 0.169 0.829 Ni
0.952 0.429 0.429 Ni
0.666 0.332 0.332 Ni
0.573 0.045 0.573 Ni
0.332 0.668 0.668 Ni
0.500 0.500 0.500 Ni
0.547 0.072 0.072 Ni
0.452 0.929 0.929 Ni
0.837 0.163 0.500 Ni
0.072 0.072 0.547 Ni
0.837 0.500 0.163 Ni
0.662 0.337 0.002 Ni
0.500 0.837 0.163 Ni
0.829 0.169 0.169 Ni
0.002 0.662 0.337 Ni
0.668 0.668 0.332 Ni
0.668 0.332 0.668 Ni
0.832 0.168 0.832 Ni
0.163 0.500 0.837 Ni
0.168 0.832 0.832 Ni
0.337 0.662 0.002 Ni
0.002 0.337 0.662 Ni
0.429 0.952 0.429 Ni
0.363 0.910 0.363 B
0.137 0.137 0.589 B
0.863 0.411 0.863 B
0.636 0.636 0.090 B
0.363 0.363 0.910 B
0.137 0.589 0.137 B
0.589 0.137 0.137 B
0.411 0.863 0.863 B
0.863 0.863 0.411 B
0.910 0.363 0.363 B
0.090 0.636 0.636 B
0.636 0.090 0.636 B
0.625 0.625 0.625 Ge
0.125 0.125 0.125 Ge
0.875 0.875 0.875 Ge
```
'''
**Back to the article**

Also, Doñana is a key location for birds that make the migratory journey between Africa and Europe. Additionally, it’s the cradle of preservation for several native Spanish and European species that are currently facing extinction.
Some bird species in Doñana
Among the wide variety of species that we can find in Doñana National Park, we’ll mention the following:
- Mallards (Frieze, Royal, and Wigeon)
- Starling (Black and Pinto)
- Flamingos
- Gray Heron
- Swallow
- Sparrow (Common, Miller and Moruno)
- Owl (Common and Country)
- Kingfisher
- Royal Duck
- Mockingbird
- Anser (Common and Country)
- Small owl
- Vultures (Fawn and Black)
- Raven
- Quail
- Eaglets (Ash, Marsh and Pale)
- Lark
- And, finally, eagles (Imperial, Causeway, Short-toed and Bonelli)
Other typical animals in Doñana National Park
Additionally, Doñana National Park has cataloged more than 35 mammal species, 20 freshwater fish, 10 amphibian species and about 13 reptiles. Below, we have listed some of the most symbolic species in the park.

- Iberian lynx
- Wildcat
- Boars
- Horses
- Cows
- European hedgehog
- Deer
- Field rabbit
- And, finally, bats (Common, Cave, Buzzard, and Big Horseshoe)
Reptiles and amphibians

- Snakes
- Turtles
- Common chameleon
- European Galapagos
- Frogs
- Toads
- Lizards


- Eels (native species)
- Carp, Mosquitofish, and Pike (invasive species)
Species in Doñana facing extinction
While the reserve is home to many species that are vulnerable or endangered, there are two animals that are the most threatened. The species in greatest danger of extinction in Doñana National Park are the Iberian lynx and the imperial eagle.
Iberian lynx
Currently, experts consider the Iberian lynx the most threatened feline on the entire planet. The only remaining members of the species live in Doñana, Sierra de Andujar National Park and Cardeña National Park, in Spain.

### Data records, kept here for reference
+++
Record 1
# K4Sb2O3, relaxed, DFT PBE-GGA
data_K4Sb2O3
_chemical_formula_sum 'K8 Sb4 O6'
_cell_length_a 6.3697
_cell_length_b 6.3697
_cell_length_c 14.5847
_cell_angle_alpha 90.00
_cell_angle_beta 90.00
_cell_angle_gamma 120.00
_symmetry_space_group_name_H-M 'P 63 m c'
_symmetry_Int_Tables_number 186
_symmetry_space_group_name_Hall 'P 6c -2c'
loop_
_atom_site_label
_atom_site_type_symbol
_atom_site_fract_x
_atom_site_fract_y
_atom_site_fract_z
K1 K 0.0000 0.0000 0.0000
K2 K 0.0000 0.0000 0.2359
K3 K 0.3333 0.6667 0.1267
K4 K 0.3333 0.6667 0.7883
Sb1 Sb 0.3333 0.6667 0.3732
Sb2 Sb 0.3333 0.6667 0.5628
O1 O 0.1780 0.3560 0.6232
# - V: 256.2 Å³/f.u.
# - Total moment: 0.000 μB per formula unit
# - E (MP2020): -4.49 eV per atom
# - E_form: -1.4298 eV per atom



Record 2
# K3SbO4, relaxed, DFT PBE-GGA
data_K3SbO4
_chemical_formula_sum 'K6 Sb2 O8'
_cell_length_a 6.636
_cell_length_b 7.477
_cell_length_c 5.780
_cell_angle_alpha 90.00
_cell_angle_beta 108.48
_cell_angle_gamma 90.00
_symmetry_space_group_name_H-M 'P 1 2/c 1'
_symmetry_Int_Tables_number 13
_symmetry_space_group_name_Hall '-P 2yc'
loop_
_atom_site_label
_atom_site_type_symbol
_atom_site_fract_x
_atom_site_fract_y
_atom_site_fract_z
K1 K 0.000 0.109 0.250
K2 K 0.000 0.375 0.750
K3 K 0.500 0.389 0.250
Sb1 Sb 0.500 0.113 0.750
O1 O 0.291 0.296 0.572
O2 O 0.331 0.087 0.006
# - V: 136.0 Å³/f.u.
# - E (MP2020): -5.29 eV per atom
# - E_form: -1.8853 eV per atom



Record 3
# K3Sb5O14, relaxed, DFT PBE-GGA
data_K3Sb5O14
_chemical_formula_sum 'K12 Sb20 O56'
_cell_length_a 7.276
_cell_length_b 24.692
_cell_length_c 7.458
_cell_angle_alpha 90.00
_cell_angle_beta 90.00
_cell_angle_gamma 90.00
_symmetry_space_group_name_H-M 'P b a m'
_symmetry_Int_Tables_number 55
_symmetry_space_group_name_Hall '-P 2 2ab'
loop_
_atom_site_label
_atom_site_type_symbol
_atom_site_fract_x
_atom_site_fract_y
_atom_site_fract_z
K1 K 0.103 0.117 0.000
K2 K 0.126 0.206 0.500
K3 K 0.222 0.485 0.000
Sb1 Sb 0.082 0.943 0.500
Sb2 Sb 0.093 0.562 0.500
Sb3 Sb 0.110 0.355 0.236
Sb4 Sb 0.175 0.744 0.000
O1 O 0.000 0.000 0.321
O2 O 0.028 0.357 0.500
O3 O 0.046 0.574 0.244
O4 O 0.065 0.218 0.000
O5 O 0.122 0.685 0.185
O6 O 0.161 0.094 0.500
O7 O 0.161 0.482 0.500
O8 O 0.161 0.896 0.302
O9 O 0.183 0.381 0.000
O10 O 0.239 0.788 0.226
# - V: 335.0 Å³/f.u.
# - Total moment: 0.002 μB per formula unit
# - E (MP2020): -6.21 eV per atom
# - E_form: -1.9750 eV per atom



Record 4
# K3Sb5O14, relaxed, DFT PBE-GGA
data_K3Sb5O14
_chemical_formula_sum 'K12 Sb20 O56'
_cell_length_a 7.278
_cell_length_b 24.690
_cell_length_c 7.461
_cell_angle_alpha 90.00
_cell_angle_beta 90.00
_cell_angle_gamma 90.00
_symmetry_space_group_name_H-M 'P b a 2'
_symmetry_Int_Tables_number 32
_symmetry_space_group_name_Hall 'P 2 -2ab'
loop_
_atom_site_label
_atom_site_type_symbol
_atom_site_fract_x
_atom_site_fract_y
_atom_site_fract_z
K1 K 0.104 0.117 0.000
K2 K 0.116 0.206 0.515
K3 K 0.223 0.485 0.041
Sb1 Sb 0.083 0.943 0.523
Sb2 Sb 0.094 0.562 0.524
+++

The Sierra de la Malcata Natural Reserve in Portugal is trying to recover this feline’s population.
There is a breeding center in Doñana that is carrying out a breeding program for Iberian lynxes in captivity. There were 11 lynxes born in captivity, and the center also monitors 30 other lynxes that live in the park.
Imperial eagle
The imperial eagle’s situation is just as alarming as that of the Iberian lynx. Similarly, it is one of the most endangered birds in Europe. Currently, there are only 10 pairs of this species in Doñana National Park and this ecosystem is one of their few remaining refuges.

This text is provided for informational purposes only and does not replace consultation with a professional. If in doubt, consult your specialist.